In this article, we present the best protein-rich plant foods along with important tips you must know to build muscle with plant protein.

The 5 best vegetarian meals for building muscle
The 5 best vegetarian meals for building muscle

-- begin --
## H2Pd2Au (meta-GGA SCAN)

Data for a PBEsol-optimized structure of H2Pd2Au.

It has space group I4/mmm (No. 139), with a = 3.010 Å, b = 3.010 Å, c = 11.549 Å, α = 90.00°, β = 90.00° and γ = 90.00°. The asymmetric unit holds H at (0.000, 0.500, 0.250), Pd at (0.000, 0.000, 0.158) and Au at (0.000, 0.000, 0.500).

=====

## BaSr2Ag (meta-GGA SCAN)

Data for a PBEsol-optimized structure of BaSr2Ag.

The value obtained for the formation energy from the elements is -97 meV per atom. The calculation puts the energy above the lowest structure with this stoichiometry at 28.0 meV/atom.

It has space group R-3m (No. 166, hexagonal axes), with a = 4.4022 Å, b = 4.4022 Å, c = 32.8051 Å, α = 90.00°, β = 90.00° and γ = 120.00°. The asymmetric unit holds Ba at (0.0000, 0.0000, 0.0000), Sr at (0.0000, 0.0000, 0.2228) and Ag at (0.0000, 0.0000, 0.5000).

=====

## BeFe2NiN (meta-GGA SCAN)

Data for a PBEsol-optimized structure of BeFe2NiN.

It has space group P4/mmm (No. 123), with a = 4.247 Å, b = 4.247 Å, c = 2.925 Å, α = 90.00°, β = 90.00° and γ = 90.00°. The asymmetric unit holds Be at (0.000, 0.000, 0.000), Fe at (0.000, 0.500, 0.000), Ni at (0.500, 0.500, 0.500) and N at (0.000, 0.000, 0.500).

=====

Per-record D(E_F), states/eV per cell: 1.75, 11.55, 2.13
Per-record E, eV per formula unit: -142.12, -115.85, -63.26

* * * * *

Here is a relaxed structure of LiInP from Alexandria via LeMat-Bulk. Energies are from PBE.

DOS(E_F) (states/eV/atom): 0.68
Relative energy among the computed polymorphs (eV per atom): 0.235

CIF file:
```
data_LiInP
_cell_length_a 4.5393
_cell_length_b 4.5393
_cell_length_c 4.5393
_cell_angle_alpha 60.00
_cell_angle_beta 60.00
_cell_angle_gamma 60.00
_symmetry_space_group_name_H-M 'P 1'
_symmetry_Int_Tables_number 1
loop_
_symmetry_equiv_pos_as_xyz
'x,y,z'
loop_
_atom_site_label
_atom_site_type_symbol
_atom_site_fract_x
_atom_site_fract_y
_atom_site_fract_z
Li1 Li 0.0000 0.0000 0.0000
In1 In 0.5000 0.5000 0.5000
P1 P 0.2500 0.2500 0.2500
```



Here is a relaxed structure of Li2In2P from Alexandria via LeMat-Bulk. Energies are from PBE.

DOS(E_F) (states/eV/atom): 0.44
Relative energy among the computed polymorphs (eV per atom): 0.000

CIF file:
```
data_Li2In2P
_cell_length_a 6.5021
_cell_length_b 6.5021
_cell_length_c 4.7346
_cell_angle_alpha 90.00
_cell_angle_beta 90.00
_cell_angle_gamma 90.00
_symmetry_space_group_name_H-M 'P 1'
_symmetry_Int_Tables_number 1
loop_
_symmetry_equiv_pos_as_xyz
'x,y,z'
loop_
_atom_site_label
_atom_site_type_symbol
_atom_site_fract_x
_atom_site_fract_y
_atom_site_fract_z
Li1 Li 0.1576 0.3424 0.0000
Li2 Li 0.3424 0.8424 0.0000
Li3 Li 0.6576 0.1576 0.0000
Li4 Li 0.8424 0.6576 0.0000
In1 In 0.1723 0.6723 0.5000
In2 In 0.3277 0.1723 0.5000
In3 In 0.6723 0.8277 0.5000
In4 In 0.8277 0.3277 0.5000
P1 P 0.0000 0.0000 0.0000
P2 P 0.5000 0.5000 0.0000
```



Here is a relaxed structure of LiInP from Alexandria via LeMat-Bulk. Energies are from PBE.
-- stop --

The diet of a family food machine, but can follow as a healthy lifestyle, found that the nutritional and green values, low proportion of weight and status, but there are also some reasons for weight and protection. Those wanting to build muscle try a vegetarian diet, but mostly the protein in plant foods.


Soybeans are one of the highest sources of protein that you can rely on in a vegetarian diet. Each hundred grams of soybeans contains 36 grams of protein. It is also rich in important minerals and vitamins such as iron, potassium, calcium, phosphorous and magnesium.

Someone pasted records of crystals at this point:
********
[1]
Computed, not measured: TaInAs2Se after structural relaxation at the GGA-PBE level of DFT.

abc: 5.084 5.084 5.028
angles: 90.00 90.00 90.00
Fractional positions:
Ta 0.000 0.000 0.000
Se 0.000 0.000 0.500
As 0.000 0.500 0.000
As 0.500 0.000 0.000
In 0.500 0.500 0.500

Summary:
* volume: 26.0 A^3/atom
* total energy: -27.21 eV per cell
* energy above the most stable polymorph in this dataset: 0 meV/atom

---

[2]
Computed, not measured: BaTl4Au after structural relaxation at the GGA-PBE level of DFT.

abc: 6.476 6.476 6.476
angles: 60.00 60.00 60.00
Fractional positions:
Tl 0.873 0.376 0.376
Tl 0.376 0.873 0.376
Tl 0.376 0.376 0.376
Tl 0.376 0.376 0.873
Au 0.750 0.750 0.750
Ba 0.000 0.000 0.000

Summary:
* formation energy: -0.052 eV per atom
* volume: 32.0 A^3/atom
* total energy: -14.98 eV per cell

---

> What is the total energy in the first record?

-27.21 eV per cell


Entry 1:
# Pr3Ho2Er2 (PBE, relaxed)
data_Pr3Ho2Er2
_cell_length_a 3.558
_cell_length_b 8.612
_cell_length_c 8.790
_cell_angle_alpha 62.21
_cell_angle_beta 89.99
_cell_angle_gamma 78.09
_space_group_name_H-M_alt 'P -1'
_space_group_IT_number 2
loop_
_space_group_symop_operation_xyz
'x,y,z'
'-x,-y,-z'
loop_
_atom_site_label
_atom_site_type_symbol
_atom_site_fract_x
_atom_site_fract_y
_atom_site_fract_z
_atom_site_occupancy
Pr1 Pr 0.000 0.000 0.000 1
Pr2 Pr 0.294 0.412 0.712 1
Ho1 Ho 0.071 0.859 0.432 1
Er1 Er 0.363 0.273 0.170 1
# formation energy	0.041	eV per atom


Entry 2:
# KHgBr (PBE, relaxed)
data_KHgBr
_cell_length_a 4.655
_cell_length_b 4.655
_cell_length_c 10.565
_cell_angle_alpha 90.00
_cell_angle_beta 90.00
_cell_angle_gamma 90.00
_space_group_name_H-M_alt 'P 4/n m m'
_space_group_IT_number 129
loop_
_space_group_symop_operation_xyz
'x,y,z'
'-x,-y,-z'
'-y+1/2,x,z'
'y+1/2,-x,-z'
'-x+1/2,-y+1/2,z'
'x+1/2,y+1/2,-z'
'y,-x+1/2,z'
'-y,x+1/2,-z'
'x+1/2,-y,-z'
'-x+1/2,y,z'
'-y,-x,-z'
'y,x,z'
'-x,y+1/2,-z'
'x,-y+1/2,z'
'y+1/2,x+1/2,-z'
'-y+1/2,-x+1/2,z'
loop_
_atom_site_label
_atom_site_type_symbol
_atom_site_fract_x
_atom_site_fract_y
_atom_site_fract_z
_atom_site_occupancy
K1 K 0.250 0.250 0.155 1
Hg1 Hg 0.250 0.250 0.505 1
Br1 Br 0.250 0.250 0.841 1
# ΔE_f (raw)	-106.0	kJ per mole of atoms


Entry 3:
# Pa6Ge5Te (PBE, relaxed)
data_Pa6Ge5Te
_cell_length_a 7.221
_cell_length_b 12.498
_cell_length_c 7.220
_cell_angle_alpha 90.00
_cell_angle_beta 109.49
_cell_angle_gamma 90.00
_space_group_name_H-M_alt 'C 1 2/m 1'
_space_group_IT_number 12
loop_
_space_group_symop_operation_xyz
'x,y,z'
'-x,-y,-z'
'-x,y,-z'
'x,-y,z'
'x+1/2,y+1/2,z'
'-x+1/2,-y+1/2,-z'
'-x+1/2,y+1/2,-z'
'x+1/2,-y+1/2,z'
loop_
_atom_site_label
_atom_site_type_symbol
_atom_site_fract_x
_atom_site_fract_y
_atom_site_fract_z
_atom_site_occupancy
Pa1 Pa 0.237 0.000 0.253 1
Pa2 Pa 0.239 0.173 0.739 1
Ge1 Ge 0.000 0.000 0.500 1
Ge2 Ge 0.000 0.169 0.000 1
Ge3 Ge 0.000 0.341 0.500 1
Te1 Te 0.000 0.500 0.000 1
# ΔE_f (raw)	-47.5	kJ per mole of atoms
********


Lentils are staple foods that help increase your feeling of satiety and fullness, ride energy, solar energy, and less throughout the day.


Lupine is equal in plant foods, and lupine is rich in fiber and vitamins such as vitamin C, magnesium, potassium and phosphorous.


Quinoa is one of the best types of whole grains that you can rely on in a healthy and vegetarian diet


The nutrients that have been ingested are nutrient dense, fragrant, and our skin you can add to your vegan diet like peanuts, almonds, pistachios and cashews.

Tips for building muscle with a vegetarian diet

It is always rumored that the vegetarian system is poor in terms of high-quality protein or that the vegetarians are unable to gain muscle mass, the reason is that plant foods differ in protein composition from animal foods in terms of the nine essential amino acids, most plants except a few. It does not contain the nine acids needed to build muscle mass, but this problem can be overcome by incorporating plant foods and diversifying the varieties to get all the acids needed to create high-quality protein.


Health benefits of a plant-based diet

There are many health benefits that you can benefit from by following a vegetarian diet, including:

fight diabetes

One of the most important advantages of the plant-based system is that it protects against diabetes and insulin-related diseases such as insulin resistance. The reason is that the plant contains a lot of fiber and therefore does not raise blood sugar and insulin and exposes you to the sensitivity of cells to the hormone insulin.

Cancer protection

Unrelated to this entry: materials data >
........
Record 1
The following is a DFT calculation (GGA-PBE) of MoP2IrN after structural relaxation.

a b c (Å): 4.764 4.764 3.727
angles (deg): 90.00 90.00 90.00
Positions (direct):
Mo 0.000 0.000 0.000
P 0.000 0.500 0.000
P 0.500 0.000 0.000
Ir 0.500 0.500 0.500
N 0.000 0.000 0.500

Summary:
calculated density	7.15	g/cm³
D(E_F)	0.905	states/eV per atom
spin magnetization	0.00	μB/f.u.
formation energy (no corrections)	1.0273	eV per atom



Record 2
The following is a DFT calculation (GGA-PBE) of PmHoSi4 after structural relaxation.

a b c (Å): 5.365 5.365 5.365
angles (deg): 60.00 60.00 60.00
Positions (direct):
Pm 0.000 0.000 0.000
Ho 0.750 0.750 0.750
Si 0.376 0.376 0.376
Si 0.376 0.376 0.871
Si 0.376 0.871 0.376
Si 0.871 0.376 0.376

Summary:
calculated density	6.42	g/cm³
D(E_F)	0.690	states/eV per atom
spin magnetization	0.00	μB/f.u.
E above lowest polymorph	148.4	meV per atom
formation energy (no corrections)	-0.2956	eV per atom



Record 3
The following is a DFT calculation (GGA-PBE) of DyY2Au after structural relaxation.

a b c (Å): 11.072 11.072 11.072
angles (deg): 18.99 18.99 18.99
Positions (direct):
Dy 0.000 0.000 0.000
Y 0.104 0.104 0.104
Y 0.896 0.896 0.896
Au 0.500 0.500 0.500

Summary:
calculated density	7.10	g/cm³
D(E_F)	1.332	states/eV per atom
spin magnetization	0.61	μB/f.u.
energy of formation from the pure elements	-0.20	eV per formula unit
E above lowest polymorph	403.9	meV per atom

* * * * *

[1]
Mn2In2Fe | PBE | optimized geometry

The value obtained for the uncorrected energy is -5.9157 eV/atom.

The structure belongs to space group I4/mmm (No. 139); the cell edges are 3.112, 3.112 and 17.030 Å and the angles 90.00°, 90.00° and 90.00°. The asymmetric unit holds Mn at (0.000, 0.500, 0.250), In at (0.000, 0.000, 0.109) and Fe at (0.000, 0.000, 0.500).

[2]
MnInFe3 | PBE | optimized geometry

The value obtained for the uncorrected energy is -5.3218 eV/atom.

The structure belongs to space group Pm-3m (No. 221); the cell edges are 4.682, 4.682 and 4.682 Å and the angles 90.00°, 90.00° and 90.00°. The asymmetric unit holds Mn at (0.000, 0.000, 0.000), In at (0.500, 0.500, 0.500) and Fe at (0.000, 0.500, 0.500).

[3]
MnInFe | PBE | optimized geometry
........
End of the materials data >

Studies that have been conducted on vegetarians have proven that plant foods are rich in powerful antioxidants that fight the spread of free radicals in the body and protect against diseases such as cancer.

Losing weight and getting rid of obesity

Following a vegetarian diet only stimulates the body to burn fat faster. Plants contain fiber, which will increase your feeling of satiety and consume fewer calories. In addition, once you follow a vegetarian diet, your consumption of saturated and trans fats will decrease and your cholesterol levels will decrease significantly.